## What to do
Next, find the line further down that holds "0.6018 x2", then reproduce that line and all lines after it there.

## Material
(1)
Theoretical powder X-ray diffraction pattern
Compound: Y2Pa4Ru9
Radiation: CuKα
Structure: a GGA-PBE-relaxed structure
Neutral-atom scattering factors, no anomalous dispersion.

Lattice parameters (Å, degrees): 4.4832 4.4832 17.1323 90.00 90.00 120.00
Space group P-3m1 (No. 164)
One atom of each set of equivalent atoms:
1 Y 0.3333 0.6667 0.2547 x2
2 Pa 0.3333 0.6667 0.6018 x2
3 Pa 0.3333 0.6667 0.9006 x2
4 Ru 0.0000 0.0000 0.0000 x1
5 Ru 0.0000 0.0000 0.1617 x2
6 Ru 0.0000 0.0000 0.3455 x2
7 Ru 0.3333 0.6667 0.0807 x2
8 Ru 0.3333 0.6667 0.4305 x2

The 10 most intense peaks (2θ = 10–80°), low angle first:
hkl 0 0 4, 2θ = 20.74°, intensity 33
hkl 1 0 3, 2θ = 27.79°, intensity 40
hkl 0 1 5, 2θ = 34.92°, intensity 15
hkl 1 0 6, 2θ = 39.16°, intensity 69
hkl 1 1 0, 2θ = 40.23°, intensity 100
hkl 1 1 4, 2θ = 45.68°, intensity 26
hkl 1 1 6, 2θ = 51.85°, intensity 15
hkl 0 2 6, 2θ = 57.40°, intensity 22
hkl 2 1 6, 2θ = 72.41°, intensity 22
hkl 3 0 0, 2θ = 73.12°, intensity 17


(2)
Theoretical powder X-ray diffraction pattern
Compound: YPaRu2
Radiation: CuKα
Structure: a GGA-PBE-relaxed structure
Neutral-atom scattering factors, no anomalous dispersion.

Lattice parameters (Å, degrees): 6.849 6.849 6.849 90.00 90.00 90.00
Space group Fm-3m (No. 225)
One atom of each set of equivalent atoms:
1 Y 0.000 0.000 0.000 x4
2 Pa 0.000 0.000 0.500 x4
3 Ru 0.250 0.250 0.250 x8

The 10 most intense peaks (2θ = 10–80°), low angle first:
hkl 1 1 1, 2θ = 22.48°, intensity 15
hkl 2 0 0, 2θ = 26.02°, intensity 5
hkl 2 2 0, 2θ = 37.13°, intensity 100
hkl 3 1 1, 2θ = 43.84°, intensity 9
hkl 4 0 0, 2θ = 53.52°, intensity 17
hkl 3 3 1, 2θ = 58.76°, intensity 4
hkl 4 2 0, 2θ = 60.45°, intensity 2
hkl 4 2 2, 2θ = 66.93°, intensity 35
hkl 5 1 1, 2θ = 71.59°, intensity 3
hkl 4 4 0, 2θ = 79.10°, intensity 11


This entry pairs a crystal structure of LiGa2Rh with its calculated XRD peak list. Radiation: copper Kα. Structure: a structure optimized by DFT (GGA-PBE).
Peak positions follow from Bragg's law for the DFT cell and can differ from measured ones.

Structural model:
```
data_LiGa2Rh
_chemical_formula_sum 'Li4 Ga8 Rh4'
_symmetry_space_group_name_H-M 'P 1'
_symmetry_Int_Tables_number 1
_cell_length_a 6.0889
_cell_length_b 6.0889
_cell_length_c 6.0889
_cell_angle_alpha 90.00
_cell_angle_beta 90.00
_cell_angle_gamma 90.00
loop_
_symmetry_equiv_pos_as_xyz
'x,y,z'
loop_
_atom_site_label
_atom_site_type_symbol
_atom_site_fract_x
_atom_site_fract_y
_atom_site_fract_z
Li1 Li 0.0000 0.0000 0.0000
Li2 Li 0.0000 0.5000 0.5000
Li3 Li 0.5000 0.0000 0.5000
Li4 Li 0.5000 0.5000 0.0000
Ga1 Ga 0.2500 0.2500 0.2500
Ga2 Ga 0.2500 0.2500 0.7500
Ga3 Ga 0.2500 0.7500 0.2500
Ga4 Ga 0.2500 0.7500 0.7500
Ga5 Ga 0.7500 0.2500 0.2500
Ga6 Ga 0.7500 0.2500 0.7500
Ga7 Ga 0.7500 0.7500 0.2500
Ga8 Ga 0.7500 0.7500 0.7500
Rh1 Rh 0.0000 0.0000 0.5000
Rh2 Rh 0.0000 0.5000 0.0000
Rh3 Rh 0.5000 0.0000 0.0000
Rh4 Rh 0.5000 0.5000 0.5000
```

Top 10 peaks for 10° ≤ 2θ ≤ 90°, in order of falling intensity:
h k l, 2theta, intensity
2 2 0, 41.97, 100.0
1 1 1, 25.34, 39.8
4 2 2, 76.67, 32.1
3 1 1, 49.66, 18.5
4 0 0, 60.85, 16.2
3 3 1, 66.99, 7.4
5 1 1, 82.28, 5.5
2 0 0, 29.34, 2.6
4 2 0, 68.97, 0.8
2 2 2, 52.03, 0.7

## Here it is
2 Pa 0.3333 0.6667 0.6018 x2
3 Pa 0.3333 0.6667 0.9006 x2
4 Ru 0.0000 0.0000 0.0000 x1
5 Ru 0.0000 0.0000 0.1617 x2
6 Ru 0.0000 0.0000 0.3455 x2
7 Ru 0.3333 0.6667 0.0807 x2
8 Ru 0.3333 0.6667 0.4305 x2

The 10 most intense peaks (2θ = 10–80°), low angle first:
hkl 0 0 4, 2θ = 20.74°, intensity 33
hkl 1 0 3, 2θ = 27.79°, intensity 40
hkl 0 1 5, 2θ = 34.92°, intensity 15
hkl 1 0 6, 2θ = 39.16°, intensity 69
hkl 1 1 0, 2θ = 40.23°, intensity 100
hkl 1 1 4, 2θ = 45.68°, intensity 26
hkl 1 1 6, 2θ = 51.85°, intensity 15
hkl 0 2 6, 2θ = 57.40°, intensity 22
hkl 2 1 6, 2θ = 72.41°, intensity 22
hkl 3 0 0, 2θ = 73.12°, intensity 17


(2)
Theoretical powder X-ray diffraction pattern
Compound: YPaRu2
Radiation: CuKα
Structure: a GGA-PBE-relaxed structure
Neutral-atom scattering factors, no anomalous dispersion.

Lattice parameters (Å, degrees): 6.849 6.849 6.849 90.00 90.00 90.00
Space group Fm-3m (No. 225)
One atom of each set of equivalent atoms:
1 Y 0.000 0.000 0.000 x4
2 Pa 0.000 0.000 0.500 x4
3 Ru 0.250 0.250 0.250 x8

The 10 most intense peaks (2θ = 10–80°), low angle first:
hkl 1 1 1, 2θ = 22.48°, intensity 15
hkl 2 0 0, 2θ = 26.02°, intensity 5
hkl 2 2 0, 2θ = 37.13°, intensity 100
hkl 3 1 1, 2θ = 43.84°, intensity 9
hkl 4 0 0, 2θ = 53.52°, intensity 17
hkl 3 3 1, 2θ = 58.76°, intensity 4
hkl 4 2 0, 2θ = 60.45°, intensity 2
hkl 4 2 2, 2θ = 66.93°, intensity 35
hkl 5 1 1, 2θ = 71.59°, intensity 3
hkl 4 4 0, 2θ = 79.10°, intensity 11


This entry pairs a crystal structure of LiGa2Rh with its calculated XRD peak list. Radiation: copper Kα. Structure: a structure optimized by DFT (GGA-PBE).
Peak positions follow from Bragg's law for the DFT cell and can differ from measured ones.

Structural model:
```
data_LiGa2Rh
_chemical_formula_sum 'Li4 Ga8 Rh4'
_symmetry_space_group_name_H-M 'P 1'
_symmetry_Int_Tables_number 1
_cell_length_a 6.0889
_cell_length_b 6.0889
_cell_length_c 6.0889
_cell_angle_alpha 90.00
_cell_angle_beta 90.00
_cell_angle_gamma 90.00
loop_
_symmetry_equiv_pos_as_xyz
'x,y,z'
loop_
_atom_site_label
_atom_site_type_symbol
_atom_site_fract_x
_atom_site_fract_y
_atom_site_fract_z
Li1 Li 0.0000 0.0000 0.0000
Li2 Li 0.0000 0.5000 0.5000
Li3 Li 0.5000 0.0000 0.5000
Li4 Li 0.5000 0.5000 0.0000
Ga1 Ga 0.2500 0.2500 0.2500
Ga2 Ga 0.2500 0.2500 0.7500
Ga3 Ga 0.2500 0.7500 0.2500
Ga4 Ga 0.2500 0.7500 0.7500
Ga5 Ga 0.7500 0.2500 0.2500
Ga6 Ga 0.7500 0.2500 0.7500
Ga7 Ga 0.7500 0.7500 0.2500
Ga8 Ga 0.7500 0.7500 0.7500
Rh1 Rh 0.0000 0.0000 0.5000
Rh2 Rh 0.0000 0.5000 0.0000
Rh3 Rh 0.5000 0.0000 0.0000
Rh4 Rh 0.5000 0.5000 0.5000
```

Top 10 peaks for 10° ≤ 2θ ≤ 90°, in order of falling intensity:
h k l, 2theta, intensity
2 2 0, 41.97, 100.0
1 1 1, 25.34, 39.8
4 2 2, 76.67, 32.1
3 1 1, 49.66, 18.5
4 0 0, 60.85, 16.2
3 3 1, 66.99, 7.4
5 1 1, 82.28, 5.5
2 0 0, 29.34, 2.6
4 2 0, 68.97, 0.8
2 2 2, 52.03, 0.7